Count the lines underneath that contain the word "and" and give the number alone.

=====
1.
DFT (ωB97M-V with the def2-TZVPD basis set) results for a molecular structure, C14H26EuN2OS2 in a non-equilibrium geometry.

Last column: Mulliken spin population.
Atoms and positions in Å:
Eu  0.1787  0.2621  -0.1222  6.1104
S  -1.0336  2.8340  -0.4685  -0.0170
S  -0.8026  -2.4300  -0.2476  -0.0269
C  -2.8240  2.4411  -0.4428  0.0003
C  -0.5220  2.4332  -2.1974  -0.0004
C  -0.9831  1.1733  -2.9600  -0.0010
N  -0.2791  -0.0732  -2.5589  -0.0269
C  -0.9195  -1.3732  -2.9277  -0.0025
C  -0.4044  -2.5135  -2.0378  0.0026
H  0.5826  2.4597  -2.1330  0.0016
H  -0.8583  3.3268  -2.7429  -0.0003
H  -0.7533  1.3489  -4.0234  -0.0006
H  -2.0662  1.0451  -2.8690  -0.0010
H  -0.6556  -1.5999  -3.9757  -0.0007
H  -2.0104  -1.2957  -2.8536  0.0002
H  0.6996  -2.5371  -2.0515  0.0012
H  -0.7818  -3.4883  -2.3812  -0.0004
C  -2.6416  -2.4444  -0.2798  0.0002
H  0.5830  -0.0719  -3.1121  0.0007
H  -3.1323  -1.6580  -0.8635  -0.0002
H  -2.9467  -2.3373  0.7648  0.0000
H  -2.9500  -3.4403  -0.6282  -0.0014
H  -3.0918  2.3574  0.6157  0.0000
H  -3.1353  1.5324  -0.9614  -0.0001
H  -3.3550  3.3060  -0.8626  -0.0007
C  5.1614  0.2104  -1.7509  -0.0001
C  5.1975  0.2667  -0.4161  0.0000
H  5.1381  1.1108  -2.3696  0.0000
H  5.1995  -0.7388  -2.2911  0.0000
H  5.2702  1.2221  0.1090  0.0000
H  5.2695  -0.6373  0.1914  0.0000
O  2.1409  0.0504  1.2264  -0.0090
C  2.0005  -0.5327  2.5656  -0.0025
C  0.6268  -0.3392  3.1291  -0.0011
C  0.4384  -0.3888  4.5080  -0.0005
C  -0.8175  -0.1447  5.0329  -0.0005
C  -1.8742  0.1337  4.1522  -0.0005
C  -1.6242  0.1578  2.7798  -0.0023
N  -0.3854  -0.0617  2.2839  -0.0192
H  3.0579  -0.0988  0.8807  0.0007
H  2.2631  -1.5926  2.4969  -0.0004
H  2.7429  0.0019  3.1641  -0.0001
H  1.3048  -0.5982  5.1327  -0.0002
H  -1.0089  -0.1685  6.1077  0.0000
H  -2.8799  0.3320  4.5204  0.0000
H  -2.4169  0.3572  2.0397  -0.0012

Force components x, y, z for each atom (eV/Å):
0.122 -0.104 1.339
-0.269 -1.385 0.004
-0.551 0.793 -0.694
-0.211 0.575 0.233
0.147 0.398 -0.234
-0.297 0.345 -0.403
0.539 -0.132 0.562
-0.142 -0.362 -0.081
0.262 -0.124 -0.126
-0.243 0.271 -0.303
0.383 -0.370 -0.181
-0.338 0.155 0.298
0.169 -0.101 -0.052
-0.325 -0.064 0.375
0.234 0.124 -0.077
-0.330 -0.234 -0.167
0.242 0.322 -0.071
-0.026 -0.267 0.411
0.043 0.077 0.328
0.398 -0.151 -0.015
0.009 -0.105 -0.125
0.099 0.347 0.057
0.019 0.102 -0.195
0.297 0.046 -0.027
0.111 -0.301 0.081
-0.217 -0.080 0.019
-0.194 0.146 -0.047
0.131 -0.215 0.261
-0.036 0.238 0.219
-0.052 -0.217 -0.144
0.142 0.087 -0.155
-0.433 -0.332 -0.918
0.925 0.073 -0.026
-0.445 0.541 0.164
0.468 -0.096 -0.289
-0.586 0.016 -0.181
-0.020 -0.011 -0.527
-0.025 -0.028 0.622
0.181 0.094 -0.766
-0.500 0.223 0.307
-0.021 0.082 0.117
-0.176 -0.306 0.233
-0.278 0.044 0.049
0.180 0.018 -0.318
0.272 -0.067 -0.069
0.345 -0.067 0.513

As for the multiplicity: 7. Its energy is -2239.4898 hartree. The HOMO-LUMO gap (alpha / beta) comes out at 4.900 / 7.884 eV. The total charge is +3. The LUMO energy (alpha / beta) is -13.07 / -10.09 eV.

***

2.
DFT (ωB97M-V with the def2-TZVPD basis set) results for a molecular structure, C23H26IrN4O4PS6.

Last column: Mulliken spin population.
Atoms and positions in Å:
Ir  -1.6703  0.2619  -0.4277  0.0405
S  -2.2049  2.1282  0.9178  0.1322
S  -3.3618  3.3867  -0.1925  0.2275
S  -4.5435  2.1676  -1.3076  0.3050
S  -3.4341  0.6237  -1.9448  0.2962
O  0.3659  3.1430  -6.0997  -0.0001
C  0.7507  1.8856  -6.1243  0.0004
O  1.3658  1.4031  -7.0521  0.0000
C  0.3670  1.0413  -4.9595  -0.0089
C  0.5946  -0.3172  -4.9052  -0.0001
N  0.1299  -0.7410  -3.7172  -0.0019
N  -0.3961  0.2563  -2.9885  0.0179
C  -0.2472  1.3417  -3.7194  -0.0047
C  -0.6766  2.6448  -3.1054  0.0033
O  -0.5798  3.6732  -3.8164  0.0027
O  -1.0629  2.5733  -1.9210  -0.0100
H  -0.1624  3.3574  -5.2417  0.0005
H  1.0374  -0.9764  -5.6309  0.0001
H  0.0422  -1.6911  -3.3917  0.0002
S  -3.1272  -1.0385  0.8076  0.0081
C  -2.9090  -2.3679  -0.2664  -0.0018
S  -1.7499  -1.9034  -1.4613  0.0026
=====

2